PowrCoat 17
7.4 Fluid Pump
Problem Cause Solution
A. Pump delivers on upstroke only
or goes up slowly and down fast
(commonly called downstroke
1. Lowerfootvalveballisnotseatingdueto
trash or wear.
2. Material to viscous to siphon.
3. Air leaking in on siphon side or damaged
siphon hose. Siphon may be too small for
heavy material.
4. Upperpackingnut(ifapplicable)islooseor
upper packings are worn.
1. Remove foot valve assembly. Clean and inspect. Test
foot valve by lling with water. If ball fails to seal the
seat, replace ball.
2. Thin material - contact manufacturer for proper
thinning procedures.
3. Tighten all connections between pump and paint
container. If damaged, replace. Switch to bigger
siphon set.
4. If tightening upper packing nut does not correct,
change upper packings.
B. Pumpdeliversondownstroke
only or goes up fast and down
1. Upperballisnotseatingduetotrashor
2. Lowerpackingsetisworn.
1. Check upper seat and ball with water. If ball fails to
seal seat, replace.
2. Replace packing set is worn.
C. Pump moves up and down fast,
not delivering material.
1. Material container is empty or material is
(What comes next are calculated crystals, not part of the entry)
Entry 1:
DFT (PBE+U) results for crystalline Cs5BiMo4O16 at its relaxed geometry.

Unit cell a=13.752 b=13.752 c=10.706 alpha=83.88 beta=83.88 gamma=143.94
Positions (direct):
Cs: 0.190 0.564 0.453
Cs: 0.052 0.169 0.560
Cs: 0.947 0.827 0.449
Cs: 0.436 0.810 0.047
Cs: 0.827 0.947 0.949
Cs: 0.562 0.438 0.250
Cs: 0.169 0.052 0.060
Cs: 0.564 0.190 0.953
Cs: 0.438 0.562 0.750
Cs: 0.810 0.436 0.547
Bi: 0.806 0.194 0.250
Bi: 0.194 0.806 0.750
Mo: 0.792 0.649 0.858
Mo: 0.975 0.596 0.140
Mo: 0.596 0.975 0.640
Mo: 0.649 0.792 0.358
Mo: 0.404 0.025 0.360
Mo: 0.025 0.404 0.860
Mo: 0.351 0.208 0.642
Mo: 0.208 0.351 0.142
O: 0.744 0.863 0.488
O: 0.238 0.202 0.759
O: 0.782 0.424 0.101
O: 0.424 0.782 0.601
O: 0.011 0.511 0.230
O: 0.679 0.943 0.266
O: 0.511 0.011 0.730
O: 0.208 0.565 0.909
O: 0.048 0.327 0.759
O: 0.772 0.158 0.482
O: 0.158 0.772 0.982
O: 0.256 0.137 0.512
O: 0.425 0.577 0.430
O: 0.863 0.744 0.988
O: 0.421 0.576 0.081
O: 0.762 0.798 0.241
O: 0.565 0.208 0.409
O: 0.798 0.762 0.741
O: 0.202 0.238 0.259
O: 0.057 0.321 0.234
O: 0.327 0.048 0.259
O: 0.576 0.421 0.581
O: 0.137 0.256 0.012
O: 0.952 0.673 0.241
O: 0.943 0.679 0.766
O: 0.577 0.425 0.930
O: 0.228 0.842 0.518
O: 0.489 0.989 0.270
O: 0.830 0.214 0.020
O: 0.673 0.952 0.741
O: 0.321 0.057 0.734
O: 0.989 0.489 0.770

## Properties
- formation enthalpy at 0 K (eV/atom) = -2.1242
- crystal system = triclinic
- total magnetic moment (μB per atom) = 0.00


Entry 2:
DFT (PBE+U) results for crystalline Eu3MoO7 at its relaxed geometry.

Unit cell a=6.628 b=6.628 c=7.677 alpha=90.00 beta=90.00 gamma=111.41
Positions (direct):
Eu: 0.063 0.524 0.250
Eu: 0.937 0.476 0.750
Eu: 0.524 0.063 0.250
Eu: 0.476 0.937 0.750
Eu: 0.000 0.000 0.000
Eu: 0.000 0.000 0.500
Mo: 0.500 0.500 0.000
Mo: 0.500 0.500 0.500
O: 0.437 0.437 0.250
O: 0.563 0.563 0.750
O: 0.893 0.157 0.250
O: 0.107 0.843 0.750
O: 0.157 0.893 0.250
O: 0.843 0.107 0.750
O: 0.805 0.557 0.035
O: 0.195 0.443 0.965
O: 0.195 0.443 0.535
O: 0.557 0.805 0.465
O: 0.805 0.557 0.465
O: 0.443 0.195 0.535
O: 0.443 0.195 0.965
O: 0.557 0.805 0.035

## Properties
- formation enthalpy at 0 K (eV/atom) = -2.9247
- crystal system = orthorhombic
- total magnetic moment (μB per atom) = 1.73


Entry 3:
DFT (PBE+U) results for crystalline Cs2VP2O8 at its relaxed geometry.

Unit cell a=7.373 b=9.660 c=13.638 alpha=90.00 beta=90.00 gamma=90.00
Positions (direct):
Cs: 0.250 0.918 0.402
Cs: 0.750 0.082 0.598
Cs: 0.750 0.418 0.098
Cs: 0.250 0.582 0.902
Cs: 0.250 0.130 0.092
Cs: 0.750 0.870 0.908
Cs: 0.750 0.630 0.408
Cs: 0.250 0.370 0.592
V: 0.250 0.485 0.289
V: 0.750 0.515 0.711
V: 0.750 0.985 0.211
V: 0.250 0.015 0.789
P: 0.048 0.732 0.159
P: 0.548 0.268 0.841
P: 0.952 0.232 0.341
P: 0.452 0.768 0.659
P: 0.952 0.268 0.841
P: 0.452 0.732 0.159
P: 0.048 0.768 0.659
P: 0.548 0.232 0.341
O: 0.250 0.545 0.401
O: 0.750 0.455 0.599
O: 0.750 0.045 0.099
O: 0.250 0.955 0.901
O: 0.935 0.834 0.221
O: 0.435 0.166 0.779
O: 0.065 0.334 0.279
O: 0.565 0.666 0.721
O: 0.065 0.166 0.779
(The calculated crystals stop here)
too thick to ow through the siphon hose.
2. Bottomballstucktofootvalveseat.
3. Siphon hose is kinked or loose.
1. Rell with new material. If too thick, remove siphon
hose, immerse uid section in material, and start
pump to prime. Add thinner to material. Change to
bigger siphon set. Open bleed valve to remove air
and restart pump.
2. Remove foot valve. Clean ball and seat.
3. Straighten.
D. Pump moves up and down
slowly when spray gun is shut
1. Looseconnections.Bleedvalveisopen
packing set is worn.
2. Upperand/orlowerballnotseating.
1. Check all connections between pump and gun.
Tighten as necessary. If material is owing from
bleed hose, close bleed valve or replace if necessary.
Should none of above be evident, replace lower
2. Reset balls by cleaning.
E. Not enough uid pressure at
=====
No. 1
This record from Materials Project describes Mg14VC after structural relaxation. The functional is PBE.

a b c (Å): 6.252 6.252 9.784
angles (deg): 90.00 90.00 120.00
Fractional coordinates of all 16 atoms:
Mg1 0.000 0.000 0.246
Mg2 0.000 0.000 0.754
Mg3 0.019 0.509 0.261
Mg4 0.019 0.509 0.739
Mg5 0.329 0.164 0.500
Mg6 0.339 0.170 0.000
Mg7 0.491 0.509 0.261
Mg8 0.491 0.509 0.739
Mg9 0.491 0.981 0.261
Mg10 0.491 0.981 0.739
Mg11 0.830 0.170 0.000
Mg12 0.830 0.661 0.000
Mg13 0.836 0.164 0.500
Mg14 0.836 0.671 0.500
V1 0.333 0.667 0.000
C1 0.333 0.667 0.500

Values from the calculation:
**Total magnetization**: 3.577 Bohr magnetons per cell
**Space-group type**: P-6m2
**Distance to the lowest polymorph of the same formula**: 0.335 eV/f.u.
**Calculated total energy**: -2.200 eV/atom
**Crystal system**: hexagonal
**Calculated formation energy**: 0.3449 eV/atom
**Theoretical density**: 2.022 Mg/m³

No. 2
This record from Materials Project describes Cu2S3O12 after structural relaxation. The functional is PBE.

a b c (Å): 8.822 8.822 8.822
angles (deg): 55.29 55.29 55.29
Fractional coordinates of all 34 atoms:
Cu1 0.146 0.146 0.146
Cu2 0.346 0.346 0.346
Cu3 0.654 0.654 0.654
Cu4 0.854 0.854 0.854
S1 0.040 0.458 0.749
S2 0.251 0.960 0.542
S3 0.458 0.749 0.040
S4 0.542 0.251 0.960
S5 0.749 0.040 0.458
S6 0.960 0.542 0.251
O1 0.018 0.606 0.797
O2 0.125 0.866 0.743
O3 0.134 0.257 0.875
O4 0.155 0.533 0.208
O5 0.170 0.493 0.537
O6 0.203 0.982 0.394
O7 0.208 0.155 0.533
O8 0.257 0.875 0.134
O9 0.394 0.203 0.982
O10 0.463 0.830 0.507
O11 0.467 0.792 0.845
O12 0.493 0.537 0.170
O13 0.507 0.463 0.830
O14 0.533 0.208 0.155
O15 0.537 0.170 0.493
O16 0.606 0.797 0.018
O17 0.743 0.125 0.866
O18 0.792 0.845 0.467
O19 0.797 0.018 0.606
O20 0.830 0.507 0.463
O21 0.845 0.467 0.792
O22 0.866 0.743 0.125
O23 0.875 0.134 0.257
O24 0.982 0.394 0.203

Values from the calculation:
**Space-group type**: R-3
**Distance to the lowest polymorph of the same formula**: 0.000 eV/f.u.
**Calculated total energy**: -5.683 eV/atom
**Crystal system**: trigonal
**Calculated formation energy**: -1.4626 eV/atom
**Theoretical density**: 3.191 Mg/m³
=====
-- The page goes on --
1. Spray tip is worn.
2. Compressor (air operated units only) too
small. Outlet lter or gun lter is clogged.
3. Lowvoltageand/orinadequateamperage.
4. Hose size or length is too small or too long.
1. Replace.
2. Clean or replace lter. Recommend proper hose size
and/or air compressor size.
3. Check electrical service. Correct as required.
4. Increase hose size to minimize pressure drop through
hose and/or reduce hose lengths.
The entry is interrupted by records of crystals.
┌──
P.
Entry from Materials Project: crystalline Bi4O5F2 at its relaxed geometry (GGA-PBE).

Values from the calculation:
Mass density, g/cm3: 7.123
V, A^3/atom: 20.2
Magnetization, μB per formula unit: 0.000

```
Bi4O5F2
1.0
-4.512 -2.622 1.468
1.362 -4.365 -3.610
7.187 -6.722 10.085
Bi O F
8 10 4
Direct
0.285 0.209 0.454
0.886 0.233 0.214
0.114 0.767 0.786
0.215 0.209 0.954
0.785 0.791 0.046
0.614 0.233 0.714
0.715 0.791 0.546
0.386 0.767 0.286
0.304 0.119 0.792
0.000 0.000 0.500
0.804 0.881 0.708
0.010 0.079 0.085
0.696 0.881 0.208
0.500 0.000 0.000
0.990 0.921 0.915
0.196 0.119 0.292
0.510 0.921 0.415
0.490 0.079 0.585
0.855 0.481 0.859
0.645 0.481 0.359
0.145 0.519 0.141
0.355 0.519 0.641
```

***

Q.
Entry from Materials Project: crystalline Bi4O5F2 at its relaxed geometry (GGA-PBE).

Values from the calculation:
Mass density, g/cm3: 7.489
V, A^3/atom: 19.2
Magnetization, μB per formula unit: 0.000

```
Bi4O5F2
1.0
5.621 0.000 0.000
0.000 10.668 0.000
0.000 1.846 14.109
O F Bi
20 8 16
Direct
0.343 0.737 0.035
0.999 0.346 0.780
0.503 0.923 0.580
0.975 0.423 0.096
0.345 0.529 0.683
0.845 0.471 0.317
0.498 0.319 0.810
0.998 0.681 0.190
0.499 0.654 0.220
0.984 0.249 0.262
0.478 0.431 0.086
0.478 0.261 0.265
0.978 0.569 0.914
0.993 0.924 0.583
0.003 0.077 0.420
0.475 0.577 0.904
0.843 0.263 0.965
0.484 0.751 0.738
0.493 0.076 0.417
0.978 0.739 0.735
0.743 0.163 0.653
0.849 0.666 0.556
0.325 0.178 0.080
0.349 0.334 0.444
0.825 0.822 0.920
0.760 0.923 0.274
0.260 0.077 0.726
0.243 0.837 0.347
0.699 0.258 0.117
0.682 0.611 0.036
0.785 0.190 0.833
0.250 0.083 0.551
0.285 0.810 0.167
0.216 0.721 0.616
0.287 0.330 0.686
0.685 0.566 0.774
0.750 0.917 0.449
0.787 0.670 0.314
0.185 0.434 0.226
0.236 0.086 0.292
0.199 0.742 0.883
0.716 0.279 0.384
0.182 0.389 0.964
0.736 0.914 0.708
```

***

R.
Entry from Materials Project: crystalline Bi4O5F2 at its relaxed geometry (GGA-PBE).

Values from the calculation:
Mass density, g/cm3: 8.891
V, A^3/atom: 16.2
Magnetization, μB per formula unit: 0.000

```
Bi4O5F2
1.0
-4.786 -6.962 0.961
6.940 -5.159 -2.810
2.924 -0.809 8.704
O Bi F
20 16 8
Direct
0.250 0.075 0.821
0.436 0.836 0.025
0.061 0.507 0.834
0.064 0.836 0.025
0.439 0.507 0.834
0.936 0.336 0.475
0.564 0.336 0.475
0.939 0.493 0.166
0.064 0.664 0.525
0.936 0.164 0.975
0.561 0.493 0.166
0.061 0.993 0.334
0.436 0.664 0.525
0.750 0.575 0.679
0.439 0.993 0.334
0.750 0.925 0.179
0.939 0.007 0.666
0.250 0.425 0.321
0.561 0.007 0.666
0.564 0.164 0.975
0.250 0.935 0.483
0.250 0.999 0.045
0.750 0.435 0.017
0.750 0.065 0.517
0.033 0.210 0.760
0.533 0.710 0.740
0.467 0.290 0.260
0.533 0.790 0.240
0.467 0.210 0.760
0.250 0.565 0.983
0.750 0.001 0.955
0.250 0.501 0.545
0.967 0.710 0.740
0.033 0.290 0.260
0.750 0.499 0.455
0.967 0.790 0.240
0.750 0.247 0.719
0.750 0.679 0.970
0.750 0.253 0.219
0.250 0.753 0.281
0.750 0.821 0.470
0.250 0.321 0.030
0.250 0.179 0.530
0.250 0.747 0.781
```

***

Q: Which of them is the most stable? A: Q.

* * * * *

[1]
└──
F. Pump chatters on up or down
1. Solvent has caused upper packing to swell,
or packing is too tight.
1. Backoupperpackingnut1/4turn(ifapplicable)
and restart pump. Repeat if necessary.